2024/2025 Online Registrations. Use Ctrl-f to search the page

Name Email Address Preferred Position Preferred Division
Bill Curran bill@curran.ca Center Masters(50+) Sundays
Terence Gudgeon terry_gudgeon@hotmail.com R Defence Masters(50+) Sundays
Alfonso Tinebra alfonso@tinebra.ca Center Masters(50+) Sundays 5 - 8pm
Brad Ballman fiveholebrad@gmail.com Goalie Adult 30+ Fridays 8-9pm and Sundays 6:45pm
Joe LoCicero jllocicero29@gmail.com Goalie Masters(50+) Sundays 5 - 8pm
Richard Forster rwforster@rogers.com R Defence Masters(50+) Sundays 5 - 8pm
Steve Watt swatt93@icloud.com Center Masters(50+) Sundays 5 - 8pm
Michael Vanderzee miketvdz@hotmail.com L Wing Masters(50+) Sundays 5 - 8pm
Ken Zrobok kennytlaloc@gmail.com R Defence Masters(50+) Sundays 5 - 8pm
John Carvalho Carvalhojohn21@gmail.com R Defence Masters(50+) Sundays 5 - 8pm
Steve Saulnier stevesaulnier514@gmail.com Center Masters(50+) Sundays 5 - 8pm
What comes next are records of molecules, not part of the page:
+++
1.
Molecular formula: C5H18NO5
Method: DFT, ωB97M-V/def2-TZVPD

Last column: natural (NBO) charge in e.
Cartesian coordinates (Å):
C: 0.680 -1.774 -0.787  -0.078
O: 2.018 -1.672 -1.136  -0.709
C: -0.185 -0.463 -0.464  -0.108
C: -0.780 -0.304 0.907  -0.479
C: -1.842 -1.345 1.214  -0.518
C: -1.294 -2.641 1.899  0.442
O: -0.498 -2.571 2.834  -0.515
N: 0.566 0.717 -0.870  -0.813
H: 0.226 -2.204 -1.715  0.191
H: 0.526 -2.478 0.142  0.161
H: 2.521 -1.197 -0.483  0.479
H: -1.083 -0.502 -1.232  0.218
H: -1.168 0.743 1.051  0.215
H: 0.034 -0.385 1.649  0.238
H: -2.481 -0.983 1.984  0.248
H: -2.307 -1.701 0.361  0.207
H: -1.631 -3.529 1.456  0.122
H: 0.802 0.790 -1.913  0.438
H: -0.007 1.545 -0.572  0.468
H: 1.467 0.623 -0.323  0.441
H: 3.475 2.171 0.747  0.400
H: 2.870 1.092 1.789  0.457
O: 3.143 1.165 0.851  -1.111
H: -2.826 2.121 -1.746  0.485
H: -2.673 1.008 -0.661  0.471
O: -2.340 1.357 -1.484  -0.972
H: 0.314 3.955 -0.862  0.413
H: 1.685 3.385 -1.397  0.426
O: 0.789 3.078 -1.239  -1.217

Output
Energy relative to the best compared isomer or geometry (same formula, charge and spin) ... 24.3 kcal/mol
2S+1 ... 2
HOMO-LUMO gap (alpha / beta) ... 3.258 / 10.607 eV
Lowest unoccupied orbital energy (alpha / beta) ... 0.2 / 0.1 eV


2.
Molecular formula: C5H18NO7
Method: DFT, ωB97M-V/def2-TZVPD

Last column: natural (NBO) charge in e.
Cartesian coordinates (Å):
O: 1.212 2.380 0.220  -0.744
C: 0.388 1.657 -0.364  0.802
O: -0.863 1.643 -0.085  -0.778
C: 0.864 0.762 -1.512  -0.527
C: 1.688 -0.456 -1.021  -0.427
C: 0.841 -1.587 -0.414  -0.256
C: 0.981 -0.707 1.797  -0.061
N: 0.541 -1.596 1.009  -0.429
H: 1.506 1.391 -2.142  0.218
H: 0.000 0.442 -2.096  0.224
H: 2.226 -0.872 -1.882  0.206
H: 2.457 -0.132 -0.316  0.223
H: -0.128 -1.620 -0.926  0.205
H: 1.355 -2.540 -0.625  0.192
H: 0.658 -0.782 2.824  0.170
H: 1.602 0.127 1.498  0.172
H: -1.928 1.662 2.474  0.479
H: -2.643 0.298 2.650  0.496
O: -2.352 1.098 3.147  -1.002
H: 2.784 1.936 0.364  0.502
H: 3.830 2.396 1.456  0.458
O: 3.723 1.861 0.664  -1.011
H: -3.145 0.343 -1.136  0.474
H: -1.670 0.609 -0.569  0.506
O: -2.339 -0.153 -0.921  -1.051
H: -1.671 -0.869 -2.338  0.502
H: -1.120 -2.237 -2.746  0.454
O: -1.331 -1.373 -3.121  -0.988
H: -1.950 -1.573 1.815  0.481
H: -2.679 -0.889 0.684  0.507
O: -2.839 -1.218 1.614  -0.997

Output
Energy relative to the best compared isomer or geometry (same formula, charge and spin) ... 0.0 kcal/mol
2S+1 ... 1
Total charge ... -1
HOMO-LUMO gap ... 9.616 eV
Lowest unoccupied orbital energy ... 3.3 eV


3.
Molecular formula: C5H19BCl2CrN5O18
Method: DFT, ωB97M-V/def2-TZVPD

Last column: natural (NBO) charge in e.
Cartesian coordinates (Å):
Cr: -0.216 -0.096 0.265  1.319
Cl: -2.933 0.591 2.911  2.602
O: -2.676 -0.427 3.835  -0.852
O: -2.530 1.774 3.573  -0.878
O: -2.272 0.384 1.602  -0.904
O: -4.334 0.682 2.693  -0.873
Cl: -2.081 -2.933 -1.645  2.560
O: -2.009 -2.790 -3.048  -0.861
O: -1.171 -4.022 -1.275  -0.876
O: -1.604 -1.726 -0.977  -0.904
O: -3.417 -3.285 -1.195  -0.830
+++
So much for the records of molecules:
chris marttila crayon2001@hotmail.com L Wing Masters(50+) Sundays 5 - 8pm
Dave Smith smittys5@cogeco.ca Center Masters(50+) Sundays 5 - 8pm
Bruno Santonato bsantonato@yahoo.com Goalie Masters(50+) Sundays 5 - 8pm
Ted Marszalek tjmarsz@rogers.com Goalie Masters(50+) Sundays 5 - 8pm
Darren Jolliffe Jolliffed@yahoo.ca R Wing Masters(50+) Sundays 5 - 8pm
Ken Wiersma kenwiersma@yahoo.ca L Wing Masters(50+) Sundays 5 - 8pm
Brad Ballman fiveholebrad@gmail.com Goalie Masters(50+) Sundays 5 - 8pm
Paul George Drax1967@gmail.com R Defence Masters(50+) Sundays 5 - 8pm
Mike Christensen mchristensen21@hotmail.com R Defence Masters(50+) Sundays 5 - 8pm
Dave Graham leafcrib5@gmail.com R Defence Masters(50+) Sundays 5 - 8pm
Scott Maki scott.maki@sympatico.ca L Wing Masters(50+) Sundays 5 - 8pm
John Elter Johnelter777@mail.com Center Masters(50+) Sundays 5 - 8pm
Robert Harrison rh@sps.ca R Wing Masters(50+) Sundays 5 - 8pm
Ghislain Piche donnapiche5@gmail.com Center Masters(50+) Sundays 5 - 8pm
Brian Deanes brian.deanes@milton.ca Goalie Masters(50+) Sundays 5 - 8pm
Kevin G Scime kevinscime@yahoo.ca Center Adult 30+ Fridays 8-9pm and Sundays 6:45pm
Warren DeForest wdeforest@foodsupplies.ca R Wing Masters(50+) Sundays 5 - 8pm
TIM Manning t_j_manning@hotmail.com Center Masters(50+) Sundays 5 - 8pm
Sam Carubba Scarubba_10@hotmail.com Center Masters(50+) Sundays 5 - 8pm
Sandro Morrone sandromorrone@gmail.com R Wing Masters(50+) Sundays 5 - 8pm
Timothy Visser tim.visser@live.ca Goalie Masters(50+) Sundays 5 - 8pm
Steven MacDonakld steve.macdonald1959@gmail.com R Wing Masters(50+) Sundays 5 - 8pm
Steven MacDonakld steve.macdonald1959@gmail.com R Wing Masters(50+) Sundays 5 - 8pm
Bob Ballantyne rrball@rogers.com R Defence Masters(50+) Sundays 5 - 8pm
Jeff Davis jeffreypauldavis1967@gmail.com R Wing Masters(50+) Sundays 5 - 8pm
Paul Shorer paulshorer@hotmail.com R Wing Masters(50+) Sundays 5 - 8pm
Dave Langille daaal1219@gmail.com Center Masters(50+) Sundays 5 - 8pm
Chris Baratto italian_red_stallion@live.ca Center Masters(50+) Sundays 5 - 8pm
Richard Jolliffe rjjolliffe@hotmail.com L Defence Masters(50+) Sundays 5 - 8pm
Henry Marfisi Hdmarfisi@cogeco.ca Center Masters(50+) Sundays 5 - 8pm
J.J. MacNeil jayjaymacneil@hotmail.com Goalie Masters(50+) Sundays 5 - 8pm
GUY SHAVER cheapguy9@gmail.com Center Masters(50+) Sundays 5 - 8pm
Massimo Pizzingrilli max@mltest.com L Wing Masters(50+) Sundays 5 - 8pm
John Carvalho Jr jwestcarvalho@gmail.com Center Adult 30+ Fridays 8-9pm and Sundays 6:45pm
Mike Guitard mguitard@hedsb.on.ca L Defence Masters(50+) Sundays 5 - 8pm
Bob wallace bobwall58@gmail.com L Wing Masters(50+) Sundays 5 - 8pm
ENZO GIAMMICHELE enzogiammichele@gmail.com L Wing Masters(50+) Sundays 5 - 8pm
Peter Subar psubar1976@gmail.com Center Masters(50+) Sundays 5 - 8pm
Alan Herron Aherron1@gmail.com Center Masters(50+) Sundays 5 - 8pm
Pasquale Sergi pat.orrfan.4@gmail.com R Wing Masters(50+) Sundays 5 - 8pm
Mike Lubrick mclubrick@gmail.com R Wing Masters(50+) Sundays 5 - 8pm
Vince Mercuri vlmercuri18@gmail.com Center Masters(50+) Sundays 5 - 8pm
Frank Sergi franksergi1@gmail.com R Defence Masters(50+) Sundays 5 - 8pm
Pat Sergi Patsergi@hotmail.com L Defence Masters(50+) Sundays 5 - 8pm
Ed Walton edwalton23@msn.com Center Masters(50+) Sundays 5 - 8pm
Nick Polimeni npolime@gmail.com L Defence Masters(50+) Sundays 5 - 8pm
Rob Harrison rh&sps.ca R Wing Adult 30+ Fridays 8-9pm and Sundays 6:45pm
Yves Bisson yves.r.bisson@gmail.com R Wing Adult 30+ Fridays 8-9pm and Sundays 6:45pm
Yves Bisson yves.r.bisson@gmail.com R Wing Masters(50+) Sundays 5 - 8pm
Len Brown len.brown@basf.com L Defence Masters(50+) Sundays 5 - 8pm
Charlie Polizzi charliepolizzi7@gmail.com Center Masters(50+) Sundays 5 - 8pm
Paul Buzzelli iosonosfasato@gmail.com R Defence Masters(50+) Sundays 5 - 8pm
Jason Aguanno jasonaguanno@me.com L Wing Adult 30+ Fridays 8-9pm and Sundays 6:45pm
Alfredo Granata alfredo.granata@ca.crh.com L Defence Masters(50+) Sundays 5 - 8pm
Tony Gzik Tonygzik@hotmail.com L Defence Masters(50+) Sundays 5 - 8pm
Bruno DiGiovanni bruha10@hotmail.com L Wing Masters(50+) Sundays 5 - 8pm
D Brons dbrons18@gmail.com R Defence Masters(50+) Sundays 5 - 8pm
Darren Corneau darrenc@bellnet.ca L Wing Masters(50+) Sundays 5 - 8pm
Rick Estok restoks@sympatico.ca L Wing Masters(50+) Sundays 5 - 8pm
Al Angelone harleyman7591@gmail.com L Defence Masters(50+) Sundays 5 - 8pm
Al Angelone harleyman7591@gmail.com L Defence Masters(50+) Sundays 5 - 8pm

Stoney Creek Oldtimers Hockey Association